[Exercise]
Could you find the line further below that holds "0.9342 0.0000", then echo that line and all lines after it there?

[Entries]
[1]
A crystal of Ba2VP2O9 relaxed with PBEsol. Source: the Alexandria database, functional meta-GGA SCAN.

Lattice parameters (Å, degrees): 5.4597 9.1891 9.4533 109.18 90.00 107.28
Sites, in units of the cell vectors:
O1 0.6342 0.0000 0.7500
O2 0.9591 0.1105 0.4348
O3 0.3835 0.3423 0.5600
O4 0.8847 0.7927 0.7839
O5 0.4367 0.3819 0.1015
O6 0.9451 0.3819 0.6015
O7 0.5633 0.6181 0.8985
O8 0.1153 0.2073 0.2161
O9 0.1513 0.1105 0.9348
O10 0.3658 0.0000 0.2500
O11 0.0549 0.6181 0.3985
O12 0.9588 0.3423 0.0600
O13 0.9079 0.7927 0.2839
O14 0.8487 0.8895 0.0652
O15 0.0409 0.8895 0.5652
O16 0.6165 0.6577 0.4400
O17 0.0412 0.6577 0.9400
O18 0.0921 0.2073 0.7161
V1 0.0658 0.0000 0.2500
V2 0.9342 0.0000 0.7500
Ba1 0.3543 0.6742 0.1726
Ba2 0.6457 0.3258 0.8274
Ba3 0.6800 0.3258 0.3274
Ba4 0.3200 0.6742 0.6726
P1 0.1009 0.2619 0.5745
P2 0.8991 0.7381 0.4255
P3 0.1610 0.2619 0.0745
P4 0.8390 0.7381 0.9255

Output
Spin magnetization, μB per formula unit: 1.00
Raw total energy, eV/atom: -15.3790
Space-group type: C2/c (15)
Volume, Å³ per atom: 15.19
Density, g cm⁻³: 4.2
Raw formation energy, eV/f.u.: -41.84

---

[2]
A crystal of KErO2 relaxed with PBEsol. Source: the Alexandria database, functional meta-GGA SCAN.

Lattice parameters (Å, degrees): 3.3957 3.3957 6.4518 74.74 74.74 60.00
Sites, in units of the cell vectors:
O1 0.2283 0.2283 0.3150
O2 0.7717 0.7717 0.6850
Er1 0.5000 0.5000 0.5000
K1 0.0000 0.0000 0.0000

Output
Spin magnetization, μB per formula unit: 0.00
Raw total energy, eV/atom: -20.8828
Space-group type: R-3m (166)
Volume, Å³ per atom: 15.34
Density, g cm⁻³: 6.4
Raw formation energy, eV/f.u.: -12.40

---

[3]
A crystal of Be2TcPb relaxed with PBEsol. Source: the Alexandria database, functional meta-GGA SCAN.

Lattice parameters (Å, degrees): 5.3788 5.4769 5.4769 76.05 60.59 60.59
Sites, in units of the cell vectors:
Be1 0.1678 0.9572 0.4572
Be2 0.3750 0.4572 0.0428
Be3 0.8750 0.5428 0.9572
Be4 0.5822 0.0428 0.5428
Pb1 0.0000 0.0000 0.0000
Pb2 0.7500 0.5000 0.5000
Tc1 0.2500 0.5000 0.5000
Tc2 0.5000 0.0000 0.0000

Output
Spin magnetization, μB per formula unit: 1.02
Raw total energy, eV/atom: -29.1178
Space-group type: I-42d (122)
Formation enthalpy at 0 K, kcal/mol of atoms: 17.7
Volume, Å³ per atom: 15.30
Density, g cm⁻³: 8.8

---

[4]
A crystal of Ca2ZnFe relaxed with PBEsol. Source: the Alexandria database, functional meta-GGA SCAN.

Lattice parameters (Å, degrees): 3.4798 3.4798 9.2888 79.20 79.20 60.00
Sites, in units of the cell vectors:
Fe1 0.5000 0.5000 0.5000
Ca1 0.2460 0.2460 0.2619
Ca2 0.7540 0.7540 0.7381
Zn1 0.0000 0.0000 0.0000

Output
Spin magnetization, μB per formula unit: 2.83
Raw total energy, eV/atom: -12.2496
Space-group type: R-3m (166)
Formation enthalpy at 0 K, kcal/mol of atoms: 11.4
Volume, Å³ per atom: 23.78
Density, g cm⁻³: 3.5

----------

1.
Compound: AgTe
Source: the Alexandria database
Functional: meta-GGA SCAN
Structure: single point on PBEsol structure

Lattice parameters (Å, degrees): 4.2506 4.2506 6.8824 72.01 72.01 60.00
Last column: nearest neighbours and their distance in Å.
Positions (direct):
Te: 0.2735 0.2735 0.1795  4 Ag 2.78-2.82
Te: 0.7265 0.7265 0.8205  4 Ag 2.78-2.82
Ag: 0.1274 0.1274 0.6178  4 Te 2.78-2.82, 3 Ag 2.88
Ag: 0.8726 0.8726 0.3822  4 Te 2.78-2.82, 3 Ag 2.88

For the density, the calculation gives 7.77 g/cm³. For the total energy, the calculation gives -34.284 eV per atom. Its formation energy (no corrections) is 5 kJ/mol of formula units.

=====

2.
Compound: Ag2Te
Source: the Alexandria database
Functional: meta-GGA SCAN
Structure: single point on PBEsol structure

Lattice parameters (Å, degrees): 4.6457 4.6457 4.6457 60.00 60.00 60.00
Last column: nearest neighbours and their distance in Å.
Positions (direct):
Te: 0.0000 0.0000 0.0000  8 Ag 2.84
Ag: 0.7500 0.7500 0.7500  4 Te 2.84
Ag: 0.2500 0.2500 0.2500  4 Te 2.84

[Written answer]
V2 0.9342 0.0000 0.7500
Ba1 0.3543 0.6742 0.1726
Ba2 0.6457 0.3258 0.8274
Ba3 0.6800 0.3258 0.3274
Ba4 0.3200 0.6742 0.6726
P1 0.1009 0.2619 0.5745
P2 0.8991 0.7381 0.4255
P3 0.1610 0.2619 0.0745
P4 0.8390 0.7381 0.9255

Output
Spin magnetization, μB per formula unit: 1.00
Raw total energy, eV/atom: -15.3790
Space-group type: C2/c (15)
Volume, Å³ per atom: 15.19
Density, g cm⁻³: 4.2
Raw formation energy, eV/f.u.: -41.84

---

[2]
A crystal of KErO2 relaxed with PBEsol. Source: the Alexandria database, functional meta-GGA SCAN.

Lattice parameters (Å, degrees): 3.3957 3.3957 6.4518 74.74 74.74 60.00
Sites, in units of the cell vectors:
O1 0.2283 0.2283 0.3150
O2 0.7717 0.7717 0.6850
Er1 0.5000 0.5000 0.5000
K1 0.0000 0.0000 0.0000

Output
Spin magnetization, μB per formula unit: 0.00
Raw total energy, eV/atom: -20.8828
Space-group type: R-3m (166)
Volume, Å³ per atom: 15.34
Density, g cm⁻³: 6.4
Raw formation energy, eV/f.u.: -12.40

---

[3]
A crystal of Be2TcPb relaxed with PBEsol. Source: the Alexandria database, functional meta-GGA SCAN.

Lattice parameters (Å, degrees): 5.3788 5.4769 5.4769 76.05 60.59 60.59
Sites, in units of the cell vectors:
Be1 0.1678 0.9572 0.4572
Be2 0.3750 0.4572 0.0428
Be3 0.8750 0.5428 0.9572
Be4 0.5822 0.0428 0.5428
Pb1 0.0000 0.0000 0.0000
Pb2 0.7500 0.5000 0.5000
Tc1 0.2500 0.5000 0.5000
Tc2 0.5000 0.0000 0.0000

Output
Spin magnetization, μB per formula unit: 1.02
Raw total energy, eV/atom: -29.1178
Space-group type: I-42d (122)
Formation enthalpy at 0 K, kcal/mol of atoms: 17.7
Volume, Å³ per atom: 15.30
Density, g cm⁻³: 8.8

---

[4]
A crystal of Ca2ZnFe relaxed with PBEsol. Source: the Alexandria database, functional meta-GGA SCAN.

Lattice parameters (Å, degrees): 3.4798 3.4798 9.2888 79.20 79.20 60.00
Sites, in units of the cell vectors:
Fe1 0.5000 0.5000 0.5000
Ca1 0.2460 0.2460 0.2619
Ca2 0.7540 0.7540 0.7381
Zn1 0.0000 0.0000 0.0000

Output
Spin magnetization, μB per formula unit: 2.83
Raw total energy, eV/atom: -12.2496
Space-group type: R-3m (166)
Formation enthalpy at 0 K, kcal/mol of atoms: 11.4
Volume, Å³ per atom: 23.78
Density, g cm⁻³: 3.5

----------

1.
Compound: AgTe
Source: the Alexandria database
Functional: meta-GGA SCAN
Structure: single point on PBEsol structure

Lattice parameters (Å, degrees): 4.2506 4.2506 6.8824 72.01 72.01 60.00
Last column: nearest neighbours and their distance in Å.
Positions (direct):
Te: 0.2735 0.2735 0.1795  4 Ag 2.78-2.82
Te: 0.7265 0.7265 0.8205  4 Ag 2.78-2.82
Ag: 0.1274 0.1274 0.6178  4 Te 2.78-2.82, 3 Ag 2.88
Ag: 0.8726 0.8726 0.3822  4 Te 2.78-2.82, 3 Ag 2.88

For the density, the calculation gives 7.77 g/cm³. For the total energy, the calculation gives -34.284 eV per atom. Its formation energy (no corrections) is 5 kJ/mol of formula units.

=====

2.
Compound: Ag2Te
Source: the Alexandria database
Functional: meta-GGA SCAN
Structure: single point on PBEsol structure

Lattice parameters (Å, degrees): 4.6457 4.6457 4.6457 60.00 60.00 60.00
Last column: nearest neighbours and their distance in Å.
Positions (direct):
Te: 0.0000 0.0000 0.0000  8 Ag 2.84
Ag: 0.7500 0.7500 0.7500  4 Te 2.84
Ag: 0.2500 0.2500 0.2500  4 Te 2.84